• Request:
The reader should quote everything further below word for word.
• File:
-- begin --
Molecular formula: C21H30FNO3
Method: DFT, ωB97M-V/def2-TZVPD

Last column: Mulliken charge in e.
Geometry (Å):
C (6.45656, 2.18047, 2.39882)  0.13
C (5.59499, 2.48935, 1.62921)  -0.70
C (4.50898, 2.69212, 0.69446)  -0.58
C (3.50491, 1.52914, 0.74062)  -0.18
O (2.20661, 2.08301, 0.67243)  -0.37
C (1.16999, 1.11306, 0.83940)  -0.74
C (0.63113, 0.76548, -0.55218)  1.05
C (-0.13887, 1.99106, -1.11221)  -1.64
C (-1.62939, 1.99981, -0.85670)  1.14
C (-2.46132, 2.37341, -1.90133)  -0.89
C (-3.82497, 2.43275, -1.72631)  -0.75
C (-4.41200, 2.10098, -0.52178)  -0.66
C (-3.60782, 1.70360, 0.53592)  0.17
C (-4.17361, 1.29275, 1.87031)  -1.43
C (-2.23250, 1.67879, 0.35001)  0.58
O (-0.27249, -0.31161, -0.60095)  -0.33
C (0.17312, -1.60200, -0.24999)  0.07
C (0.10250, -1.87584, 1.27029)  -1.13
C (-0.59343, -3.19589, 1.55059)  -1.05
C (-2.09689, -3.07834, 1.36008)  0.57
N (-2.81388, -4.29046, 1.23540)  -0.66
O (-2.66872, -2.01873, 1.31504)  -0.45
C (1.50666, -2.05386, -0.82176)  0.02
F (2.58239, -1.52152, -0.12220)  -0.42
C (1.71149, -1.86631, -2.32884)  -0.47
C (0.43429, -1.89530, -3.15438)  -1.22
H (7.18153, 2.05847, 3.15980)  0.45
H (4.01868, 3.63838, 0.90111)  0.30
H (4.96680, 2.75298, -0.29034)  0.32
H (3.63475, 1.01568, 1.69212)  0.34
H (3.71269, 0.87671, -0.10588)  0.10
H (1.57872, 0.26036, 1.37847)  0.44
H (0.42562, 1.58039, 1.47475)  0.18
H (1.50238, 0.65712, -1.20047)  -0.14
H (0.01671, 1.98576, -2.18716)  0.46
H (0.29882, 2.90170, -0.71322)  0.41
H (-2.06951, 2.62265, -2.87756)  0.35
H (-4.47027, 2.72462, -2.54281)  0.37
H (-5.48267, 2.14976, -0.39697)  0.42
H (-4.08985, 2.08723, 2.60636)  0.35
H (-3.58942, 0.44929, 2.22435)  0.27
H (-5.20124, 0.97465, 1.72930)  0.37
H (-1.61776, 1.36555, 1.18092)  -0.02
H (-0.55262, -2.28099, -0.69306)  0.55
H (-0.53272, -1.09155, 1.67488)  0.26
H (1.07665, -1.80875, 1.74135)  0.65
H (-0.41253, -3.56994, 2.55709)  0.46
H (-0.25993, -3.94332, 0.83006)  0.35
H (-3.14150, -4.43327, 0.28713)  0.27
H (-2.23140, -5.08615, 1.47392)  0.27
H (1.54966, -3.13057, -0.64250)  0.43
H (2.31720, -0.98421, -2.51401)  0.29
H (2.31739, -2.70968, -2.65479)  0.47
H (-0.14554, -2.79982, -3.00182)  0.27
H (-0.17478, -1.01307, -3.00210)  0.21
H (0.72088, -1.87628, -4.20406)  0.47

Structure (SMILES) ... C#CCCOC[C@H](Cc1cccc(C)c1)O[C@H](CCC(N)=O)[C@H](F)CC
Gap between HOMO and LUMO ... 0.33188 Eh
-- stop --
• Outcome:
Molecular formula: C21H30FNO3
Method: DFT, ωB97M-V/def2-TZVPD

Last column: Mulliken charge in e.
Geometry (Å):
C (6.45656, 2.18047, 2.39882)  0.13
C (5.59499, 2.48935, 1.62921)  -0.70
C (4.50898, 2.69212, 0.69446)  -0.58
C (3.50491, 1.52914, 0.74062)  -0.18
O (2.20661, 2.08301, 0.67243)  -0.37
C (1.16999, 1.11306, 0.83940)  -0.74
C (0.63113, 0.76548, -0.55218)  1.05
C (-0.13887, 1.99106, -1.11221)  -1.64
C (-1.62939, 1.99981, -0.85670)  1.14
C (-2.46132, 2.37341, -1.90133)  -0.89
C (-3.82497, 2.43275, -1.72631)  -0.75
C (-4.41200, 2.10098, -0.52178)  -0.66
C (-3.60782, 1.70360, 0.53592)  0.17
C (-4.17361, 1.29275, 1.87031)  -1.43
C (-2.23250, 1.67879, 0.35001)  0.58
O (-0.27249, -0.31161, -0.60095)  -0.33
C (0.17312, -1.60200, -0.24999)  0.07
C (0.10250, -1.87584, 1.27029)  -1.13
C (-0.59343, -3.19589, 1.55059)  -1.05
C (-2.09689, -3.07834, 1.36008)  0.57
N (-2.81388, -4.29046, 1.23540)  -0.66
O (-2.66872, -2.01873, 1.31504)  -0.45
C (1.50666, -2.05386, -0.82176)  0.02
F (2.58239, -1.52152, -0.12220)  -0.42
C (1.71149, -1.86631, -2.32884)  -0.47
C (0.43429, -1.89530, -3.15438)  -1.22
H (7.18153, 2.05847, 3.15980)  0.45
H (4.01868, 3.63838, 0.90111)  0.30
H (4.96680, 2.75298, -0.29034)  0.32
H (3.63475, 1.01568, 1.69212)  0.34
H (3.71269, 0.87671, -0.10588)  0.10
H (1.57872, 0.26036, 1.37847)  0.44
H (0.42562, 1.58039, 1.47475)  0.18
H (1.50238, 0.65712, -1.20047)  -0.14
H (0.01671, 1.98576, -2.18716)  0.46
H (0.29882, 2.90170, -0.71322)  0.41
H (-2.06951, 2.62265, -2.87756)  0.35
H (-4.47027, 2.72462, -2.54281)  0.37
H (-5.48267, 2.14976, -0.39697)  0.42
H (-4.08985, 2.08723, 2.60636)  0.35
H (-3.58942, 0.44929, 2.22435)  0.27
H (-5.20124, 0.97465, 1.72930)  0.37
H (-1.61776, 1.36555, 1.18092)  -0.02
H (-0.55262, -2.28099, -0.69306)  0.55
H (-0.53272, -1.09155, 1.67488)  0.26
H (1.07665, -1.80875, 1.74135)  0.65
H (-0.41253, -3.56994, 2.55709)  0.46
H (-0.25993, -3.94332, 0.83006)  0.35
H (-3.14150, -4.43327, 0.28713)  0.27
H (-2.23140, -5.08615, 1.47392)  0.27
H (1.54966, -3.13057, -0.64250)  0.43
H (2.31720, -0.98421, -2.51401)  0.29
H (2.31739, -2.70968, -2.65479)  0.47
H (-0.14554, -2.79982, -3.00182)  0.27
H (-0.17478, -1.01307, -3.00210)  0.21
H (0.72088, -1.87628, -4.20406)  0.47

Structure (SMILES) ... C#CCCOC[C@H](Cc1cccc(C)c1)O[C@H](CCC(N)=O)[C@H](F)CC
Gap between HOMO and LUMO ... 0.33188 Eh